**Excerpt**
┌──
Entry 1:
VASP calculation (PBE) on crystalline PrGa3Hg3 at its relaxed geometry.

Output
Energy relative to the elements, eV/atom: 0.166
Magnetic moment, μB/f.u.: 0.000

a = 7.352 Å, b = 7.352 Å, c = 7.352 Å
α = 90.00°, β = 90.00°, γ = 90.00°
Fractional coordinates of all 14 atoms:
Hg 0.000 0.500 0.750
Ga 0.500 0.000 0.250
Ga 0.000 0.250 0.500
Ga 0.250 0.500 0.000
Hg 0.250 0.000 0.500
Hg 0.750 0.000 0.500
Hg 0.500 0.250 0.000
Pr 0.000 0.000 0.000
Ga 0.000 0.750 0.500
Ga 0.750 0.500 0.000
Hg 0.000 0.500 0.250
Pr 0.500 0.500 0.500
Hg 0.500 0.750 0.000
Ga 0.500 0.000 0.750


Entry 2:
VASP calculation (PBE) on crystalline Pr5Ga2Pb2 at its relaxed geometry.

Output
Energy relative to the elements, eV/atom: -0.519
Magnetic moment, μB/f.u.: 0.000

a = 8.214 Å, b = 8.333 Å, c = 9.161 Å
α = 117.05°, β = 90.00°, γ = 90.00°
Fractional coordinates of all 18 atoms:
Pr 0.500 0.500 0.000
Pr 0.674 0.047 0.734
Pr 0.326 0.687 0.734
Pr 0.000 0.000 0.000
Pr 0.826 0.813 0.266
Pb 0.000 0.212 0.424
Pr 0.174 0.453 0.266
Pb 0.000 0.788 0.576
Ga 0.616 0.885 0.000
Pb 0.500 0.288 0.576
Ga 0.116 0.615 0.000
Pr 0.826 0.547 0.734
Ga 0.384 0.115 0.000
Pb 0.500 0.712 0.424
Ga 0.884 0.385 0.000
Pr 0.174 0.187 0.734
Pr 0.674 0.313 0.266
Pr 0.326 0.953 0.266


Entry 3:
VASP calculation (PBE) on crystalline VIBr2 at its relaxed geometry.

Output
Raw formation energy, eV/atom: -0.51
Magnetic moment, μB/f.u.: 2.829
E above lowest polymorph, meV per atom: 113

a = 10.766 Å, b = 10.766 Å, c = 10.766 Å
α = 19.81°, β = 19.81°, γ = 19.81°
Each line ends with the local moment (μB).
Fractional coordinates of all 4 atoms:
Br 0.286 0.286 0.286  -0.03
V 0.000 0.000 0.000  2.53
Br 0.714 0.714 0.714  -0.03
I 0.500 0.500 0.500  -0.01


Entry 4:
VASP calculation (PBE) on crystalline NaAsH2O4 at its relaxed geometry.

Output
VASP energy, eV/atom: -5.262
Magnetic moment, μB/f.u.: 0.000

a = 4.241 Å, b = 4.947 Å, c = 4.947 Å
α = 77.32°, β = 64.62°, γ = 64.62°
Fractional coordinates of all 8 atoms:
O 0.934 0.457 0.209
Na 0.000 0.000 0.000
H 0.836 0.664 0.664
As 0.500 0.500 0.500
O 0.600 0.543 0.791
O 0.400 0.209 0.457
H 0.164 0.336 0.336
O 0.066 0.791 0.543


- Number 2 is which compound?
  Pr5Ga2Pb2

* * * * *

## w
## PmZnTe (PBE)

Data for an optimized crystal structure of PmZnTe.

Geometry as extended XYZ:
```
3
Lattice="0.000 3.613 3.613 3.613 0.000 3.613 3.613 3.613 0.000" Properties=species:S:1:pos:R:3 pbc="T T T"
Pm 0.000 0.000 0.000
Te 1.807 1.807 1.807
Zn 5.420 5.420 5.420
```

=====

## x
## PmZnTe (PBE)

Data for an optimized crystal structure of PmZnTe.

Geometry as extended XYZ:
```
3
Lattice="0.241 1.584 4.654 -4.048 0.038 2.800 -0.453 -3.198 3.714" Properties=species:S:1:pos:R:3 pbc="T T T"
Pm -1.065 -0.394 2.792
Te -3.195 -1.182 8.376
Zn 0.000 0.000 0.000
```
└──
**Wanted**
Say how many lines of the contents above hold the word "geometry", as a bare number.
**Response**
4